Once in a while, you don’t get to do your interview in person. But, behold! That’s alright thanks to the Internet. This week, through the flexible avenue of gmail message threads, I had the privilege of interviewing one of our senior DJs Julia Anderson.
Sometimes the fact that you don’t get to meet in person isn’t such a bad thing. In Julia’s case, she was hustling through job interviews all week, not to mention that she’s one of WRVU’s most prized DJs and E-staff members ~ so I consider myself glad to have caught a moment of her time.
As a formality, what’s your name again?
Julia Anderson
What’s the name of your show?
Cool Waves
Does your show have a theme?
Not necessarily, but I do try to set it up so the first half of the show has new music or more recent releases, and then the last half is a mish-mash of what I’ve been listening to that week/personal preference. I got the name of the show from one of my favorite songs by Spiritualized since I thought it captures the essence of what you want to hear when you turn on the radio – good (cool) songs (passed through the radio waves).
Do you play only certain genres // or //are there genres you find yourself leaning towards or staying away from?
I used to stay away from rap entirely because I was iffy about the censorship issues, but I’m happy that there are more options on rotation now. Again I actively try to stay current with the music, but I would say that many of the things on rotation fall under the classic “indie” genre. I’ve also been experimenting with using songs off soundcloud more instead of just the usual on Spotify.
Do you have any favorite Soundcloud artists?
Some of these people aren’t really new, but I’ve been finding more of their stuff through their soundcloud page: DJ Harvey, Skream, Goldroom
Top three albums/songs (your choice) that would characterize your show as a whole?
I’ll do albums since choosing individual songs is difficult:
Since I Left You – The Avalanches
Halcyon Digest – Deerhunter
Nikki nack – tUnE-yArDs
Essentially, these display my favorite genres/sub-genres of shoegaze, trip-hop, and indie/garage rock, which is what I have been listening to a lot lately. They all would fall under the category of “cool waves” the classic sense, or at least the way I see it. Music that flows well lyrically, or perhaps cohesively despite being mashed-up, and music that puts you at ease and makes you think.

When does your show air?
1PM every Tuesday
Do you have a cohost/do you ever invite cohosts?
I sometimes invite friends to the station to check it out during my show, but I haven’t really had a cohost before.
What year are you?
I’m a senior
And where are you from?
I’m from Falls Church, VA which is right outside Washington D.C.
Do you like it there?
Yes, I definitely took it for granted while growing up though. Being in such proximity to our nation’s capital is something I’ve grown to be proud of especially since I have been away from it while here at Vanderbilt.
Would you move back?
Haha not anytime soon, no. I find that the politics of DC ooze into the politics of daily life in the area, which I find troublesome and insidious. I do love going back to see friends and catch a show at the 9:30 club, which may still remain my favorite venue of all time despite my incredible experiences at the Exit/In and Marathon Music Works.
How do you like Nashville?
Love it! Everything I would have wanted from a college town. Has just the right balance of things to do throughout the week, restaurants to check out, is not too far from some great outdoor spots (camping, hiking, climbing), and of course the music scene has been fantastic.
Best Nashville concert experience:
I went to see Dan Deacon at a venue in East Nashville called the East Room last fall. If you’ve ever seen a Dan Deacon show (check out Youtube now!) it is wild. The strobe lights are ridiculous, the speeches he gives before certain songs are hilarious, and the best part is that there is always audience involvement. For one of his songs “When I was Done Dying” he divided the crowd into two parts, picked one person from each side to be the “leader” and this leader had to perform an interpretive dance to the lyrics of the song, and each of their respective sides had to copy them. Needless to say it was a mix and mash of outrageous dancing but it was so so much fun! Oh I almost forgot, before the show there was a whole backyard area dedicated to new age activities (think crystal healing, acupuncture, lots of pipes for sale, and trippy artwork). I actually got to shake Dan’s hand and meet him briefly before the show too!
You’re in a car full of people you don’t know super well but you want to impress them. They pass you the aux cord. What song do you play?
I’ve often thought about this question… I’ve been very pleased with my Discover Weekly playlist as of recent and I have a playlist of all the good songs I’ve found off of that. I’m really into this song called Reconstruct by Photay. I’ve been telling so many of my friends to listen to it and none of them have been disappointed – yet.
So, either here or back home or wherever – what has been your most memorable concert experience?
The first time I saw Animal Collective at the 9:30 club was an unreal experience. Not only are they my favorite band, but this was at my favorite venue. They were there for 3 days in 2013 and sold out every single day. I was lucky enough to go to the second day and it was mind-blowing. It was the first concert where I really felt immersed. Mind you I was a senior in high school, so I had only been to a couple of concerts before that. The absolute best part of the concert wasn’t the concert itself, but what happened after. Last year I found out that Animal Collective was releasing a live album called “Live at 9:30.” When I first heard this I thought… “no… it couldn’t be… I was there?!” and sure enough the album was recorded the third night (alas I was the night before, but they played an almost identical set!) of the show! I immediately ordered a limited edition box set of the album and have now immortalized my favorite band’s performance at my favorite concert venue. I like to think I’ve reached the peak of musical fandom with this one.
I started as a freshman my first semester training. The training took much longer back then but I was with my first show starting second semester.
Do you do anything else for/with the station?
I’m the publicity director now and that means I am in charge of handling the ticket giveaways and promotions with certain agencies and venues in Nashville. I love being able to connect the Nashville community to Vanderbilt in some way and this is the best way I can do so.
Who should listen to your show?
-- begin --
i | This record from the Open Molecules 2025 dataset describes a single C9H16O molecule. The level of theory is ωB97M-V/def2-TZVPD.

Cartesian coordinates (Å):
C (-0.17, -0.19, -0.43)
C (1.04, 0.53, 0.53)
C (0.10, 0.12, -1.91)
C (-0.17, -1.70, -0.19)
C (0.92, 0.11, 1.99)
C (2.44, 0.21, 0.00)
C (-1.43, 0.44, -0.02)
C (-2.75, -0.32, -0.63)
C (-1.73, 1.55, 0.64)
O (-3.88, -0.02, -0.33)
H (0.90, 1.61, 0.44)
H (-2.58, -1.12, -1.38)
H (-0.64, -1.95, 0.76)
H (0.22, 1.19, -2.06)
H (0.99, -0.40, -2.25)
H (-0.74, -0.22, -2.52)
H (0.85, -2.09, -0.19)
H (-0.71, -2.23, -0.98)
H (3.19, 0.65, 0.67)
H (-0.08, 0.26, 2.37)
H (1.19, -0.94, 2.11)
H (1.61, 0.69, 2.61)
H (2.60, 0.64, -0.99)
H (2.62, -0.86, -0.04)
H (-1.01, 2.21, 1.08)
H (-2.77, 1.83, 0.75)

The LUMO energy is 0.646 eV. As for the total charge: 0. The SMILES is C=C(C=O)C(C)(C)C(C)C. For the HOMO energy, the calculation gives -0.3443 hartree. The value obtained for the molar mass is 140.23 g/mol.

=====

ii | This record from the Open Molecules 2025 dataset describes a molecular structure, C9H16O. The level of theory is ωB97M-V/def2-TZVPD.

Cartesian coordinates (Å):
C (-1.04, 0.33, -0.25)
C (-0.78, 1.23, -1.44)
C (-1.79, -0.93, -0.64)
C (-1.74, 1.07, 0.87)
C (0.45, -1.03, 1.75)
C (1.14, -0.89, -0.67)
C (0.64, -0.21, 0.50)
C (1.41, 0.98, 0.56)
C (2.22, -1.51, -1.07)
O (2.64, 1.30, 0.08)
H (3.17, 0.49, 0.02)
H (0.94, 1.93, 0.76)
H (-1.75, 1.49, -1.88)
H (-0.26, 2.14, -1.17)
H (-0.19, 0.72, -2.20)
H (-1.31, -1.42, -1.47)
H (-1.87, -1.62, 0.20)
H (-2.81, -0.65, -0.93)
H (-1.17, 1.94, 1.19)
H (-1.92, 0.43, 1.73)
H (-2.71, 1.42, 0.51)
H (-0.22, -1.87, 1.56)
H (0.06, -0.43, 2.57)
H (1.41, -1.45, 2.06)
H (3.24, -1.27, -0.74)
H (2.23, -2.18, -1.93)

The LUMO energy (spin up / spin down) is 0.668 / 0.180 eV. As for the total charge: 0. For the HOMO energy (spin up / spin down), the calculation gives -0.2822 / -0.2471 hartree. The value obtained for the molar mass is 140.23 g/mol.

=====

Of them, ii has the lowest stability.

----------

No. 1
Entry from OMol25: a single C6H10 molecule (the ωB97M-V functional and the def2-TZVPD basis).

Results
- ΔE to the lowest compared entry with this formula, charge and spin: 138.88 kJ/mol
- LUMO: 1.16 eV
- SMILES: C#CCCCC

XYZ file:
```
16
C6H10 the ωB97M-V functional and the def2-TZVPD basis
C -0.0192 0.7626 -0.0010
C -0.9602 -0.3691 -0.3873
C 2.2301 -0.3389 0.1146
C 2.8990 -1.1269 0.7304
C -2.3099 -0.2735 0.3192
C 1.3923 0.6298 -0.5888
H 3.5497 -1.7386 1.3099
H 0.0422 0.8310 1.0900
H 1.3500 0.3404 -1.6419
H -0.4834 -1.3292 -0.1619
H -3.0165 -1.0216 -0.0509
H 1.8860 1.6046 -0.5673
H -2.1999 -0.4170 1.3995
H -1.1028 -0.3414 -1.4742
H -2.7760 0.7066 0.1693
H -0.4497 1.7069 -0.3465
```

=====

No. 2
Entry from OMol25: a single C6H10 molecule (the ωB97M-V functional and the def2-TZVPD basis).

Results
- ΔE to the lowest compared entry with this formula, charge and spin: 142.49 kJ/mol
- LUMO: 1.14 eV
- SMILES: C=CC1(C)CC1

XYZ file:
```
16
-- stop --
I think most other DJs at WRVU would appreciate my show, but as for the greater public, I think anyone who is looking for some new music, as well as exploring some interesting sub-genres of alternative and electronic music would definitely find something that catches their attention.
Anything else you’d like to say?
WRVU has easily been the coolest organization to be a part of at Vandy. Freshmen take note.
I stalked Julia’s Spotify account and found one of her public playlists to attach here: